• In the case of Lazenby Garages Ltd v Wright [1976] 1 WLR 459, the repudiation of the sale of a unique good is mitigated by a higher subsequent sale. The loss will not be mitigated where it is a fungible good, the innocent party would have been able to make another sale if it was not for that breach.

Facts of Lazenby Garages Ltd v Wright [1976] 1 WLR 459

  • C, Lazenby Garages, was contracted to sell D, Wright, a second-hand BMW for the value of £1,670
  • D repudiated the contract, telling the dealers he did not wish to proceed and refused the delivery
  • Over a month later, the C sold that car to another for £100 more
  • C then sued D for breach of contract, seeking damages for the difference between the price C had purchased the car and the £1,670 from the contracted sale which fell through
  • C also argued that if the D had accepted the car, as contracted, they could have sold another car of the same make and model

Issues in Lazenby Garages Ltd v Wright [1976] 1 WLR 459

  • Was the C entitled to damages?

What comes next are records of crystals, not part of the entry.
<<<
The following is a simulated powder X-ray diffraction pattern of Mg3HgBi. It was derived from a cell relaxed with GGA-PBE, using Cu Kα.

Top 10 peaks for 5 to 70 degrees two-theta, by intensity:
| Position (°2θ) | Rel. int. |
| --- | --- |
| 26.52 | 100 |
| 37.11 | 96 |
| 37.33 | 64 |
| 23.15 | 59 |
| 24.63 | 57 |
| 24.90 | 52 |
| 38.53 | 50 |
| 20.97 | 47 |
| 26.75 | 42 |
| 27.17 | 41 |

Structural model:
a b c (Å): 4.6730 7.6860 8.5779
angles (deg): 64.76 89.53 72.47
Element x y z (fractional)
Mg: 0.0515 0.3891 0.2067
Mg: 0.2455 0.0093 0.7303
Mg: 0.3932 0.7094 0.2167
Mg: 0.6068 0.2906 0.7833
Mg: 0.7545 0.9907 0.2697
Mg: 0.9485 0.6109 0.7933
Hg: 0.1692 0.1600 0.0073
Hg: 0.8308 0.8400 0.9927
Bi: 0.3910 0.7342 0.5612
Bi: 0.6090 0.2658 0.4388


The following is a simulated powder X-ray diffraction pattern of Mg2Hg2Bi. It was derived from a cell relaxed with GGA-PBE, using Cu Kα.

Top 10 peaks for 5 to 70 degrees two-theta, by intensity:
| Position (°2θ) | Rel. int. |
| --- | --- |
| 35.10 | 100 |
| 33.81 | 96 |
| 23.73 | 79 |
| 29.67 | 68 |
| 33.38 | 47 |
| 50.79 | 35 |
| 53.25 | 35 |
| 63.78 | 32 |
| 65.65 | 25 |
| 30.15 | 19 |

Structural model:
a b c (Å): 8.3838 8.3838 3.4956
angles (deg): 90.00 90.00 90.00
Element x y z (fractional)
Mg: 0.1468 0.3532 0.0000
Mg: 0.3532 0.8532 0.0000
Mg: 0.6468 0.1468 0.0000
Mg: 0.8532 0.6468 0.0000
Hg: 0.1497 0.6497 0.5000
Hg: 0.3503 0.1497 0.5000
Hg: 0.6497 0.8503 0.5000
Hg: 0.8503 0.3503 0.5000
Bi: 0.0000 0.0000 0.0000
Bi: 0.5000 0.5000 0.0000


The following is a simulated powder X-ray diffraction pattern of Mg6Hg3Bi. It was derived from a cell relaxed with GGA-PBE, using Cu Kα.

Top 10 peaks for 5 to 70 degrees two-theta, by intensity:
| Position (°2θ) | Rel. int. |
| --- | --- |
| 28.16 | 100 |
| 21.97 | 94 |
| 37.13 | 84 |
| 24.47 | 65 |
| 39.51 | 50 |
| 38.34 | 44 |
| 34.83 | 41 |
| 21.18 | 40 |
| 42.04 | 34 |
| 27.33 | 30 |

Structural model:
a b c (Å): 10.0563 4.5611 11.4710
angles (deg): 90.00 111.42 90.00
Element x y z (fractional)
Mg: 0.0493 0.2500 0.2163
Mg: 0.1199 0.7500 0.6014
Mg: 0.2134 0.7500 0.1030
Mg: 0.3505 0.7500 0.4703
Mg: 0.3904 0.2500 0.7407
Mg: 0.4085 0.2500 0.0327
Mg: 0.5915 0.7500 0.9673
Mg: 0.6096 0.7500 0.2593
Mg: 0.6495 0.2500 0.5297
Mg: 0.7866 0.2500 0.8970
Mg: 0.8801 0.2500 0.3986
Mg: 0.9507 0.7500 0.7837
Hg: 0.0895 0.2500 0.9252
Hg: 0.1829 0.2500 0.4848
Hg: 0.2846 0.7500 0.8643
Hg: 0.7154 0.2500 0.1357
Hg: 0.8171 0.7500 0.5152
Hg: 0.9105 0.7500 0.0748
Bi: 0.3791 0.2500 0.2956
Bi: 0.6209 0.7500 0.7044


The following is a simulated powder X-ray diffraction pattern of HgBi4Mo2. It was derived from a cell relaxed with GGA-PBE, using Cu Kα.

Top 10 peaks for 5 to 70 degrees two-theta, by intensity:
| Position (°2θ) | Rel. int. |
| --- | --- |
| 31.68 | 100 |
| 25.45 | 57 |
| 40.47 | 57 |
| 24.54 | 51 |
| 34.75 | 38 |
| 45.41 | 38 |
| 12.20 | 33 |
| 47.73 | 32 |
| 52.29 | 27 |
| 43.75 | 26 |

Structural model:
a b c (Å): 5.6490 5.6490 14.5126
angles (deg): 90.00 90.00 90.00
>>>

Held by the Court of Appeal

Appeal allowed – C entitled to nominal damages, only. The sellers could recover damages for the loss of the transaction of the same car, but not for the resell of that said car as they sold it for a higher price, and thus suffered no loss.

Lord Denning M.R.

Where the good is fungible, Denning L cited W. L. Thompson Ltd. v. Robinson (Gunmakers) Ltd. [1955], US cases Torkomian v. Russell (1916) and Stewart v. Hansen (1923), as well as others. He stated:

  • “if there are a number of new cars, all exactly of the same kind, available for sale, and the dealers can prove that they sold one car less than they otherwise would have done, they would be entitled to damages amounting to their loss of profit on the one car” [462]

However this is not the same where the case concerns secondhand cars:

  • “Each secondhand car is different from the next, even though it is the same make. The sales manager of the plaintiffs admitted in evidence that some secondhand cars, of the same make, even of the same year, may sell better than others of the same year. Some may sell quickly, others may be sluggish. You simply cannot tell why. But they are all different.” [462]

So, s50(2) of the Sale of Goods Act 1893 applies [462]:

  • “The measure of damages is the estimated loss resulting directly and naturally in the ordinary course of events from the buyer’s breach of contract.”
  • “test of what could reasonably be expected to be in the contemplation of the parties as a natural consequence of the breach”

In the present case, the D would not have contemplated the C dealer would sell a car less:

  • “At most he would contemplate that, if they resold this very car at a lower price, they would suffer by reason of that lower price and should recover the difference. But if they resold this very car at a higher price, they would suffer no loss.” [462]